successful crm rollout: from planning to implementation
In our first article about crm rollout we have already told you about our experience in successfully planning the rollout. In order to avoid that the old system landscape is simply being mapped in a new system and the rollout is becoming a disaster, important aspects must be taken into account right from the planning stage. There we have highlighted topics such as system selection, KPIs and targeting as well as stakeholder management. In this second part of the article series on the crm rollout, we would like to conclude by telling you about those aspects that are fatally disregarded again and again during the further preparation of the rollout and implementation. With our insights, we would like to help you avoid these stumbling blocks.

article: crm rollout – part 1
1. dangerous semi-knowledge
Without knowing the system from an administrative perspective, it is easy to make an incorrect assessment and thus to implement requirements incorrectly. In many cases there are requirements that can be implemented by the standard administration or set-up of the system with just a few clicks.
However, if this is not known, an unnecessary amount of resources is put into the programming of the requirement. Ultimately, it is possibly even implemented in such a way that other functionalities are thereby prevented or hindered. Depending on their roles, all project members should be required to attend trainings on the selected system to ensure that they have basic system knowledge – including from an administrative perspective – before the implementation starts. That way, unnecessary additional work can be avoided right from the start. To guarantee sufficient system knowledge, especially for more complex rollouts, it is advisable to bring an employee of the company of the selected crm system on board of the project team, who can be approached if questions arise and who supports the requirements assessment.
2. buried under requirements
Within the implementation process, the individual stakeholders, e.g. different business units, market managers, end users, control the requirements for the system development. If there are no clear rules for the management of requirements, the individual stakeholders will make uncoordinated and wild contributions. In addition, short-term changes can occur within the requirements prioritization if no clear rules and responsibilities are defined. Sooner or later, this development not only leads to excessive demands and frustration of the development team, but also to dissatisfaction of the requester, because the requested functionalities are not implemented on time.
To avoid this, a central requirements management function must be implemented to qualify, quantify and prioritize the input of stakeholders. Furthermore, many of our customers have good experiences with the kernel approach, i.e.: 80 percent of the system functionalities are standardized and therefore cannot be changed. Whereas the remaining 20 percent leave room for market and user specific functionalities. This of course requires a certain basic understanding of user needs and system requirements. Because even with standardized system functionalities, it must be ensured that these cover the most important user stories (most important features from the end-user's point of view).
Agile requirements management offers promising approaches for this. These help, for example through user story writing, requirement breakdown and pre-definition of acceptance criteria, to describe the requirements in an understandable way. Furthermore, decisions regarding implementation and its planning or non-implementation are made easier through agile prioritization techniques (e.g. magic prioritization) and "definition of ready".
**Misplaced calculated crystals:**
=====
No. 1
# La3AlI3

La3AlI3 after structural relaxation (PBE-GGA, Alexandria).

For the calculated total energy, the calculation gives -30.45 eV per formula unit. The calculation puts the total magnetization at 0.00 Bohr magnetons per cell.

It has space group I4_132 (No. 214), with a = 12.8877 Å, b = 12.8877 Å, c = 12.8877 Å, α = 90.00°, β = 90.00° and γ = 90.00°. The asymmetric unit holds La at (0.1144, 0.3644, 0.1250), Al at (0.1250, 0.1250, 0.1250) and I at (0.1180, 0.1320, 0.6250).

***

No. 2
# LaHg5Rh

LaHg5Rh after structural relaxation (PBE-GGA, Alexandria).

For the calculated total energy, the calculation gives -15.36 eV per formula unit. The calculation puts the total magnetization at 0.00 Bohr magnetons per cell.

It has space group P4/mmm (No. 123), with a = 4.8719 Å, b = 4.8719 Å, c = 7.4139 Å, α = 90.00°, β = 90.00° and γ = 90.00°. The asymmetric unit holds La at (0.0000, 0.0000, 0.0000), Hg at (0.0000, 0.5000, 0.3006), Hg at (0.5000, 0.5000, 0.0000) and Rh at (0.0000, 0.0000, 0.5000).

***

No. 3
# La2Br5

La2Br5 after structural relaxation (PBE-GGA, Alexandria).

For the calculated total energy, the calculation gives -31.14 eV per formula unit. The calculation puts the total magnetization at 4.26 Bohr magnetons per cell.

It has space group C2/c (No. 15), with a = 15.9709 Å, b = 6.6229 Å, c = 8.3349 Å, α = 90.00°, β = 97.30° and γ = 90.00°. The asymmetric unit holds La at (0.1020, 0.1986, 0.0822), Br at (0.0000, 0.1141, 0.7500), Br at (0.0862, 0.3686, 0.4219) and Br at (0.2207, 0.0812, 0.8312).

***

No. 4
# LiRuPb2Cl

LiRuPb2Cl after structural relaxation (PBE-GGA, Alexandria).

For the calculated total energy, the calculation gives -18.22 eV per formula unit. The calculation puts the total magnetization at 1.42 Bohr magnetons per cell.

It has space group P4/mmm (No. 123), with a = 5.5498 Å, b = 5.5498 Å, c = 4.0217 Å, α = 90.00°, β = 90.00° and γ = 90.00°. The asymmetric unit holds Li at (0.0000, 0.0000, 0.0000), Ru at (0.5000, 0.5000, 0.0000), Pb at (0.0000, 0.5000, 0.5000) and Cl at (0.0000, 0.0000, 0.5000).

***

No. 5
# PmTm3Ag

PmTm3Ag after structural relaxation (PBE-GGA, Alexandria).

For the calculated total energy, the calculation gives -20.75 eV per formula unit. The calculation puts the total magnetization at 0.00 Bohr magnetons per cell.

It has space group C2/m (No. 12), with a = 11.4142 Å, b = 8.2800 Å, c = 7.7066 Å, α = 90.00°, β = 121.82° and γ = 90.00°. The asymmetric unit holds Pm at (0.0851, 0.0000, 0.2720), Tm at (0.0571, 0.5000, 0.3152), Tm at (0.1767, 0.2053, 0.6989) and Ag at (0.2483, 0.0000, 0.0590).

***

No. 6
# NdDyEr6

NdDyEr6 after structural relaxation (PBE-GGA, Alexandria).

For the calculated total energy, the calculation gives -34.92 eV per formula unit. The calculation puts the total magnetization at 0.00 Bohr magnetons per cell.
=====
**Back to the text:**
3. stakeholder input and expectation management
The involvement of stakeholders follows the motto of finding the golden mean: On the one hand, the stakeholders from the various areas concerned must be involved, on the other hand, they should not blow up the whole process by placing too many demands. Expectation management also plays a decisive role here, since the requirements management process is put under a lot of strain when there are too many different requirements. And after prioritization, implementation may only take place later or not at all.
This must be communicated to the stakeholders within expectation management (we’d recommend this to be part of an overall change management function within this project). In other words, it is important for the requester to know the requirements management process and how to adequately place requirements, as well as to get transparency about the evaluation and timeline. If requesters only find out by chance that their demanded functionalities are not implemented at all, insufficiently or too late, the motivation for the project and consequently the use of the system decreases. In addition, completeness in the selection of stakeholders is a critical success factor, since excluding or forgetting important stakeholders can have serious consequences in retrospect. Often the mistake is made that stakeholders who either work with the system only rarely or only at a later point in time after the system has been implemented are not included in the definition of requirements. However, the required functionalities are often also related to the core functionalities of the main user group and therefore high costs can arise due to necessary ad hoc reprogramming.
Therefore, we for example recommend defining a stakeholder map in an interactive workshop with different project members right at the beginning of the project. With the help of this stakeholder map, different stakeholder groups can be identified and consequently the respective communication measures are defined and scheduled in a Communication Roadmap. The risk of project rejection is considerably reduced by keeping the relevant stakeholders informed and, if necessary, by involving them.
4. tailoring to the business and culture
Many complex systems do not necessarily convince with an attractive and intuitive user interface (UI). New users are therefore often overstrained and unmotivated as soon as they open the system. Sometimes, however, it is small things that boost acceptance. For example, if possible, the company CI including logo should be used so that users identify with the new system more quickly. In many cases the system complexity can be reduced without much effort. It might only be necessary to ask whether click paths can be optimized or the UI can be simplified. It should only be possible to see on the screen what is really needed. Often a third address field or similar can be hidden easily. For an initial simplification, less frequently occurring cases and functionalities should only be tackled after the successful go-live.
In addition, if certain cultural aspects are taken into account for the intuitive use of the system, it is easier for users to become familiar with the system and thus use it more quickly and efficiently. Examples, such as the fact that in Spain the house number is always entered before the street name, or that in the Netherlands a name suffix such as "van" is entered, are relevant for the correct use of the system and ultimately also promote acceptance.
5. user enabling: training and coaching
Haven't we all experienced this before? We just took part in an Excel training course, and we were able to use the formulas very well during the course exercises. Three weeks later we stare at the Excel spreadsheet and don't know how it works anymore. Why should we? We didn't need the formulas the last three weeks. That's why we recommend training the users on the new system immediately before the go-live. And first of all, the basic functionalities should be trained. Just like in the Excel training: What may seem simple during the training, will, after too much time between training and go-live, no longer be used or even remembered when working with the system. According to the "forgetting curve", about one week after the training we have a retention rate of only about 20 percent.
Therefore, what has been learned does not only have to be repeated and applied, but more sophisticated functionalities should only be trained after the go-live. And this advanced training should be based on the level of knowledge and the work area of the individual employees (or the different user groups). In our experience, the users of a new crm system learn the functionalities best and fastest by trying them out directly in the system. Of course, this only works if they can't "break anything", i.e. either in a test environment or in the productive environment only with appropriate guidance and ideally for real scenarios. The latter can be easily achieved with the help of digital adoption platforms such as WalkMe.
WalkMe is a kind of navigation system for software that is put over the CRM system like a transparent layer and guides the user through predefined processes. This all happens directly when the functionalities are executed: The software shows where the user has to click and what exactly should be done. The action is executed in real-time, errors are avoided and the user has no hurdle when working in the system. Accordingly, user acceptance increases and it is literally "learning by doing". WalkMe customers have been able to reduce support requests by 50-75 percent and increase software acceptance by 70 percent.
6. sustainability and release updates
Now the users have just understood how to use the new system and then they wake up one morning and there are some changes in the system. Frustration and rejection returns. To prevent this, you should communicate new functionalities of releases in time and train them if necessary. Here, an integrated Digital Adoption Platform helps as well. Functionalities of new releases are stored there early enough, so that the users are not discouraged. On the contrary, thanks to Digital Adoption Platforms, they are simply guided through the respective new functionality directly while using the system. The times after new releases, when the support hotline is flooded, are over. Other possibilities for timely communication of the new features are, depending on their scope, webinars, short how-to videos, info e-mails with short instructions or the use of "change agents" as mediators and on-site support.
Through our partnership with the Digital Adoption Platform "WalkM" and our extensive experience in system rollouts and change management, we look forward to advising you on your questions and problems. Please feel free to contact us.